Repeat everything further down without additions, please.
~~~
MgMn4Ag4O16 | PBE+U | optimized geometry

Computed properties:
Calculated formation energy   -1.04 eV/atom
Uncorrected energy   -5.4858 eV per atom
Spin magnetization   2.000 μB/f.u.
Energy above the lowest structure with this stoichiometry   19.5 meV/atom

Unit cell a=5.623 b=8.083 c=8.724 alpha=89.33 beta=83.09 gamma=96.97
Atoms (fractional coordinates):
O 0.016 0.322 0.746
O 0.052 0.921 0.852
O 0.453 0.797 0.715
O 0.756 0.959 0.407
O 0.593 0.205 0.871
O 0.362 0.587 0.368
O 0.253 0.018 0.565
O 0.607 0.422 0.608
O 0.723 0.547 0.894
O 0.969 0.673 0.251
O 0.972 0.283 0.381
O 0.414 0.796 0.125
O 0.929 0.101 0.122
O 0.255 0.475 0.096
O 0.032 0.711 0.615
O 0.529 0.203 0.297
Mg 0.911 0.131 0.897
Ag 0.801 0.763 0.043
Ag 0.338 0.188 0.083
Ag 0.277 0.309 0.521
Ag 0.697 0.687 0.490
Mn 0.797 0.135 0.308
Mn 0.731 0.393 0.774
Mn 0.249 0.631 0.210
Mn 0.201 0.861 0.685

=====

# Hf9BW4 PBE-GGA relaxed
# E_form	-0.16	eV/atom
# calculated total energy	-10.743	eV/atom
# magnetic moment	0.10	Bohr magnetons per cell
data_Hf9BW4
_space_group_name_H-M_alt 'P 63/m m c'
_space_group_IT_number 194
_space_group_name_Hall '-P 6c 2c'
_cell_length_a 8.5855
_cell_length_b 8.5855
_cell_length_c 8.5457
_cell_angle_alpha 90.00
_cell_angle_beta 90.00
_cell_angle_gamma 120.00
loop_
_atom_site_label
_atom_site_type_symbol
_atom_site_fract_x
_atom_site_fract_y
_atom_site_fract_z
Hf1 Hf 0.0777 0.5388 0.2500
Hf2 Hf 0.2030 0.4060 0.5554
B1 B 0.3333 0.6667 0.7500
W1 W 0.0000 0.0000 0.0000
W2 W 0.1115 0.2229 0.2500
~~~
MgMn4Ag4O16 | PBE+U | optimized geometry

Computed properties:
Calculated formation energy   -1.04 eV/atom
Uncorrected energy   -5.4858 eV per atom
Spin magnetization   2.000 μB/f.u.
Energy above the lowest structure with this stoichiometry   19.5 meV/atom

Unit cell a=5.623 b=8.083 c=8.724 alpha=89.33 beta=83.09 gamma=96.97
Atoms (fractional coordinates):
O 0.016 0.322 0.746
O 0.052 0.921 0.852
O 0.453 0.797 0.715
O 0.756 0.959 0.407
O 0.593 0.205 0.871
O 0.362 0.587 0.368
O 0.253 0.018 0.565
O 0.607 0.422 0.608
O 0.723 0.547 0.894
O 0.969 0.673 0.251
O 0.972 0.283 0.381
O 0.414 0.796 0.125
O 0.929 0.101 0.122
O 0.255 0.475 0.096
O 0.032 0.711 0.615
O 0.529 0.203 0.297
Mg 0.911 0.131 0.897
Ag 0.801 0.763 0.043
Ag 0.338 0.188 0.083
Ag 0.277 0.309 0.521
Ag 0.697 0.687 0.490
Mn 0.797 0.135 0.308
Mn 0.731 0.393 0.774
Mn 0.249 0.631 0.210
Mn 0.201 0.861 0.685

=====

# Hf9BW4 PBE-GGA relaxed
# E_form	-0.16	eV/atom
# calculated total energy	-10.743	eV/atom
# magnetic moment	0.10	Bohr magnetons per cell
data_Hf9BW4
_space_group_name_H-M_alt 'P 63/m m c'
_space_group_IT_number 194
_space_group_name_Hall '-P 6c 2c'
_cell_length_a 8.5855
_cell_length_b 8.5855
_cell_length_c 8.5457
_cell_angle_alpha 90.00
_cell_angle_beta 90.00
_cell_angle_gamma 120.00
loop_
_atom_site_label
_atom_site_type_symbol
_atom_site_fract_x
_atom_site_fract_y
_atom_site_fract_z
Hf1 Hf 0.0777 0.5388 0.2500
Hf2 Hf 0.2030 0.4060 0.5554
B1 B 0.3333 0.6667 0.7500
W1 W 0.0000 0.0000 0.0000
W2 W 0.1115 0.2229 0.2500